In Persepolis 2: The Story of a Return, Marjane Satrapi resumes the autobiographical account of her life that she began in Persepolis: The Story of a Childhood. The earlier book ended in 1984 with fourteen-year-old “Marji” tearfully saying goodbye to her mother and father at the Tehran airport after her parents decided it would be safer for her go to school in Vienna than to remain in Iran and live under a repressive regime while the country engaged in a bitter war with Iraq.  As Persepolis 2 begins, Marji is in Vienna preparing to enter a French-language school to resume her studies, but she is not living with the émigré family of her mother’s best friend, Zozo, as was planned. Zozo didn’t want Marji living with her family, so she quickly moved Marji to a boarding house run by Catholic nuns, where Marji knows no one and feels very alone.

# Inserted here: crystal structures
********
Diffraction record for NaTcAgO4. The PXRD pattern is calculated, not measured: it uses a PBE-relaxed structure and CuKα.
Neutral-atom scattering factors, no anomalous dispersion.

Cell and atoms:
a b c (Å): 6.4403 6.2356 6.5557
angles (deg): 90.00 91.12 90.00
Sites, in units of the cell vectors:
Na (0.1425, 0.2500, 0.4126)
Na (0.8575, 0.7500, 0.5874)
Tc (0.3365, 0.7500, 0.6335)
Tc (0.6635, 0.2500, 0.3664)
Ag (0.3407, 0.2500, 0.8852)
Ag (0.6593, 0.7500, 0.1148)
O (0.1752, 0.5191, 0.6809)
O (0.1752, 0.9809, 0.6809)
O (0.4076, 0.7500, 0.3752)
O (0.4307, 0.2500, 0.2076)
O (0.5693, 0.7500, 0.7924)
O (0.5924, 0.2500, 0.6248)
O (0.8248, 0.0191, 0.3191)
O (0.8248, 0.4809, 0.3191)

Most intense lines, 2θ = 5–70°, by angle:
2θ 13.75, I = 99.0, (1 0 0)
2θ 19.13, I = 89.5, (1 0 -1)
2θ 19.51, I = 40.8, (1 0 1)
2θ 23.91, I = 59.0, (1 1 -1)
2θ 24.22, I = 69.2, (1 1 1)
2θ 28.63, I = 77.8, (0 2 0)
2θ 30.82, I = 100.0, (0 1 2)
2θ 31.89, I = 41.4, (1 2 0)
2θ 33.97, I = 48.0, (2 1 -1)
2θ 34.42, I = 49.5, (2 1 1)


Theoretical XRD peak list
Compound: PdSe
Radiation: a wavelength of 1.5418 Å
Structure: a structure optimized by DFT (GGA-PBE)

Structure:
abc: 3.7974 3.7974 6.3296
angles: 90.00 90.00 90.00
Element x y z (fractional)
Pd  0.0000  0.5000  0.0000
Pd  0.5000  0.0000  0.5000
Se  0.0000  0.0000  0.2500
Se  0.0000  0.0000  0.7500

Main lines, in order of rising 2θ (15 to 90 degrees two-theta):
2θ = 23.43°, rel. 40
2θ = 27.39°, rel. 100
2θ = 36.98°, rel. 24
2θ = 44.24°, rel. 80
2θ = 47.91°, rel. 32
2θ = 49.42°, rel. 19
2θ = 56.07°, rel. 26
2θ = 71.29°, rel. 13
2θ = 78.72°, rel. 14
2θ = 86.73°, rel. 23



Theoretical XRD peak list
Compound: Cr4C23
Radiation: a wavelength of 1.5418 Å
Structure: a structure optimized by DFT (GGA-PBE)

Structure:
abc: 7.2094 7.2094 6.9008
angles: 90.00 90.00 90.00
Element x y z (fractional)
Cr  0.0000  0.0000  0.2500
Cr  0.0000  0.0000  0.7500
Cr  0.0000  0.5000  0.0000
Cr  0.1735  0.5000  0.5000
Cr  0.5000  0.0000  0.5000
Cr  0.5000  0.1735  0.0000
Cr  0.5000  0.8265  0.0000
Cr  0.8265  0.5000  0.5000
C  0.0000  0.2127  0.5000
C  0.0000  0.3286  0.3127
C  0.0000  0.3286  0.6873
C  0.0000  0.6714  0.3127
C  0.0000  0.6714  0.6873
C  0.0000  0.7873  0.5000
C  0.1135  0.2076  0.0000
C  0.1135  0.7924  0.0000
C  0.1811  0.3113  0.1887
C  0.1811  0.3113  0.8113
C  0.1811  0.6887  0.1887
C  0.1811  0.6887  0.8113
C  0.2076  0.1135  0.5000
C  0.2076  0.8865  0.5000
C  0.2127  0.0000  0.0000
C  0.3012  0.5000  0.1230
C  0.3012  0.5000  0.8770
C  0.3113  0.1811  0.3113
C  0.3113  0.1811  0.6887
C  0.3113  0.8189  0.3113
C  0.3113  0.8189  0.6887
C  0.3286  0.0000  0.1873
C  0.3286  0.0000  0.8127
C  0.5000  0.3012  0.3770
C  0.5000  0.3012  0.6230
C  0.5000  0.5000  0.2500
C  0.5000  0.5000  0.7500
C  0.5000  0.6988  0.3770
C  0.5000  0.6988  0.6230
C  0.6714  0.0000  0.1873
C  0.6714  0.0000  0.8127
C  0.6887  0.1811  0.3113
C  0.6887  0.1811  0.6887
C  0.6887  0.8189  0.3113
C  0.6887  0.8189  0.6887
C  0.6988  0.5000  0.1230
********
# Back to the entry

Marji’s displacement to a boarding house is just the first of many challenges that strong-spirited but vulnerable Marji will face in Vienna over the next four years as she navigates being a teen-aged refugee adjusting from traditionalist Iran to the very Western city of Vienna. In the second half of Persepolis 2, Marji will return to Tehran and face the reverse challenge: she will try to readjust to life back in Iran after four formative years in Vienna. These dual challenges will take a heavy toll on Marji’s psyche as well as severely test, strain, and in some cases destroy her relationships with her family and friends—including her parents, her grandmother, fellow students, childhood acquaintances, boyfriends, and her fiancé and eventual husband. As Marji puts it: “I was a Westerner in Iran, an Iranian in the West. I had no identity. I didn’t even know why I was living.”

Marji’s stay at the Viennese boarding house gets off to a mixed start. Her roommate, Lucia, is a friendly girl from the Tyrol region of Austria, but communication is an issue since Marji and Lucia don’t share a common language and because Lucia is somewhat oblivious to Marji’s sensitivities. Her sensitivities are tested by the communal living arrangements, which Marji has trouble adjusting to after her comfortable home life with her well-off parents. But Lucia comes to Marji’s rescue when she invites her to spend Christmas break with her hospitable family in Tyrol. During the next school break, Marji stays at the boarding house and has a run-in with the mother superior that results in Marji getting kicked out. The mother superior insults Marji’s Iranian heritage, and Marji responds with an insult questioning the nuns’ virtue. 

Someone pasted records of crystals at this point =
- - -
(1)
For Ba2As2H4Rh, DFT lattice parameters and positions (PBE) gives the calculated XRD peak list in this record (CuKα).

Most intense lines, 2θ = 10–90°, by angle:
| hkl | 2θ (°) | I/Imax |
| --- | --- | --- |
| 2 0 0 | 27.55 | 100.0 |
| 1 1 2 | 30.46 | 52.2 |
| 2 0 2 | 36.36 | 18.5 |
| 1 0 3 | 37.93 | 21.6 |
| 2 2 0 | 39.36 | 39.2 |
| 0 0 4 | 47.53 | 25.0 |
| 3 1 2 | 50.57 | 24.4 |
| 4 2 0 | 64.35 | 18.0 |

Crystal structure
```
data_Ba2As2H4Rh
_symmetry_space_group_name_H-M 'I 4/m m m'
_symmetry_Int_Tables_number 139
_symmetry_space_group_name_Hall '-I 4 2'
_cell_length_a 6.475
_cell_length_b 6.475
_cell_length_c 7.648
_cell_angle_alpha 90.00
_cell_angle_beta 90.00
_cell_angle_gamma 90.00
loop_
_atom_site_label
_atom_site_fract_x
_atom_site_fract_y
_atom_site_fract_z
_atom_site_occupancy
Ba1 0.000 0.500 0.250 1
As1 0.000 0.000 0.161 1
H1 0.185 0.185 0.500 1
Rh1 0.000 0.000 0.500 1
```

(2)
For Ba2Sr4As3H2, DFT lattice parameters and positions (PBE) gives the calculated XRD peak list in this record (CuKα).

Most intense lines, 2θ = 10–90°, by angle:
| hkl | 2θ (°) | I/Imax |
| --- | --- | --- |
| 1 1 2 | 26.19 | 76.5 |
| 1 1 4 | 28.89 | 18.7 |
| 1 0 7 | 30.31 | 49.0 |
| 1 1 6 | 32.94 | 100.0 |
| 2 0 0 | 35.99 | 71.5 |
| 2 1 7 | 47.74 | 27.2 |
| 2 2 0 | 51.81 | 24.7 |
| 3 1 6 | 62.77 | 30.5 |

Crystal structure
```
data_Ba2Sr4As3H2
_symmetry_space_group_name_H-M 'I 4/m m m'
_symmetry_Int_Tables_number 139
_symmetry_space_group_name_Hall '-I 4 2'
_cell_length_a 4.991
_cell_length_b 4.991
_cell_length_c 25.588
_cell_angle_alpha 90.00
_cell_angle_beta 90.00
_cell_angle_gamma 90.00
loop_
_atom_site_label
_atom_site_fract_x
_atom_site_fract_y
_atom_site_fract_z
_atom_site_occupancy
Ba1 0.000 0.000 0.203 1
Sr1 0.000 0.500 0.078 1
As1 0.000 0.000 0.335 1
As2 0.000 0.000 0.500 1
H1 0.000 0.000 0.093 1
```

(3)
For BaSrAsH, DFT lattice parameters and positions (PBE) gives the calculated XRD peak list in this record (CuKα).

Most intense lines, 2θ = 10–90°, by angle:
| hkl | 2θ (°) | I/Imax |
| --- | --- | --- |
| 1 0 1 | 21.56 | 83.1 |
| 1 0 2 | 26.05 | 76.7 |
| 1 0 3 | 32.25 | 88.5 |
| 0 0 4 | 33.75 | 21.1 |
| 1 1 0 | 34.75 | 100.0 |
| 2 0 3 | 48.13 | 28.4 |
| 1 1 4 | 49.22 | 42.7 |
| 2 1 3 | 60.72 | 28.2 |

Crystal structure
```
data_BaSrAsH
_symmetry_space_group_name_H-M 'P 63 m c'
_symmetry_Int_Tables_number 186
_symmetry_space_group_name_Hall 'P 6c -2c'
_cell_length_a 5.1636
_cell_length_b 5.1636
_cell_length_c 10.6226
_cell_angle_alpha 90.00
_cell_angle_beta 90.00
_cell_angle_gamma 120.00
loop_
_atom_site_label
_atom_site_fract_x
_atom_site_fract_y
_atom_site_fract_z
_atom_site_occupancy
Ba1 0.3333 0.6667 0.0000 1
Sr1 0.0000 0.0000 0.2647 1
As1 0.3333 0.6667 0.3199 1
H1 0.0000 0.0000 0.0261 1
```

(4)
For Ba3HfAs3, DFT lattice parameters and positions (PBE) gives the calculated XRD peak list in this record (CuKα).

Most intense lines, 2θ = 10–90°, by angle:
| hkl | 2θ (°) | I/Imax |
| --- | --- | --- |
| 1 3 -2 | 25.64 | 65.7 |
- - -
The entry goes on =

At school, Marji experiences ups and downs as well. After being ignored by the other students, Marji gains some popularity with her mathematical and tutoring abilities. Her artistic talents also garner attention when she draws caricatures of the teachers. But it’s Marji’s status as a refugee who has “known war” that attracts a set of friends who give Marji her first taste of belonging in Vienna. The group is led by an older French girl named Julie, and its most conspicuous member is a mildly obnoxious punk boy named Momo who Marji tolerates through gritted teeth as he spouts pseudo-intellectual ideas.

After Marji is evicted by the nuns, Julie and her mother Armelle invite her to live with them and share Julie’s bedroom. Marji, who comes from a society that reveres parents, and who deeply misses her own mother, is shocked to see Julie ignore and disrespect Armelle. Marji spends time with Armelle and likes her, especially when she learns that Armelle knows Iranian culture, which is rare among Westerners. Julie’s worldliness (she’s sexually active and takes birth control pills) has a big impact on Marji, who envies and judges Julie simultaneously. While Armelle is traveling, Julie throws a party that is unlike any Marji has ever seen. Rather than eating or talking, the guests smoke and make out. When one guest stays and has sex with Julie, an astonished Marji calls it her first step into being assimilated into Western culture. 

Under her friend’s influence, Marji increasingly adopts the ways of Western youth and culture and worries that she’s losing her Iranian identity. At the same time, Marji undergoes significant physical changes in a growth spurt. She changes her hair, make-up, and clothes style as well. Trying to fit in, Marji now smokes and does drugs. When Julie and Armelle move away from Vienna, Marji sublets a room in a house. During that time, the now sixteen-year-old Marji is visited by her mother. Marji, who now towers over her mother, limits what she tells her mother about her life in Vienna, and her mother doesn’t divulge much about what her family’s life is like back in Iran either. The visit gives Marji a much-needed boost that at least temporarily forestalls more emotional spiraling. 

Marji takes a room in the home of a “Frau Doctor Heller,” a horrible person who adds stress to Marji’s life. Marji finds some solace in being with her boyfriend, a student named Markus. They will date for two years, but it’s never the idyllic relationship Marji wants. After Markus’s mother insults Marji by saying that she’s using him to get a passport, and then cuts off Markus’s allowance, Marji has to finance their dates. Marji also buys the drugs they smoke together, an arrangement that leads to Marji buying and then reselling drugs to other students at their school. Still, Marji grows increasingly dependent on Marcus for emotional support. Marji’s drug dealing ends when the school principal threatens her with expulsion. Her relationship with Markus also ends abruptly when she finds him in bed with another girl.

At this moment of extreme emotional vulnerability, and with right-wing, anti-immigrant sentiments on the rise in Austria, Marji’s landlady accuses her of theft. Marji storms out and spends the next two months on the streets until she ends up in a hospital. Soon after, her parents call and arrange for her to come back to Iran. Marji puts on a veil for the first time in four years and heads to the airport.

The text is interrupted by calculated crystals >
____________
[1]
# SrMg5
Simulated XRD peak list, a wavelength of 1.5418 Å. Input: DFT lattice parameters and positions (PBE).

Peak list (10 most intense, 10 to 80 degrees two-theta, low angle first)
2θ/deg  d (Å)  I (rel.)
11.07  7.994  378
15.57  5.692  263
29.55  3.023  228
30.24  2.955  228
31.17  2.870  339
31.44  2.846  561
33.64  2.665  331
34.74  2.582  1000
35.28  2.544  672
54.30  1.689  237

Atomic structure:
```
SrMg5
1.0
6.318 -1.641 0.000
6.318 1.641 0.000
-2.467 0.000 7.994
Sr Mg
1 5
Direct
0.000 0.000 0.000
0.275 0.275 0.074
0.334 0.334 0.650
0.626 0.626 0.714
0.678 0.678 0.357
0.950 0.950 0.403
```

***

[2]
# Sr3Mg
Simulated XRD peak list, a wavelength of 1.5418 Å. Input: DFT lattice parameters and positions (PBE).

Peak list (10 most intense, 10 to 80 degrees two-theta, low angle first)
2θ/deg  d (Å)  I (rel.)
17.27  5.134  99
19.97  4.446  53
28.39  3.144  1000
33.42  2.681  60
40.58  2.223  189
44.41  2.040  27
50.27  1.815  401
58.74  1.572  125
66.51  1.406  172
73.84  1.283  42

Atomic structure:
```
Sr3Mg
1.0
0.000 4.446 4.446
4.446 0.000 4.446
4.446 4.446 0.000
Sr Mg
3 1
Direct
0.000 0.000 0.000
0.250 0.250 0.250
0.750 0.750 0.750
0.500 0.500 0.500
```

***

[3]
# SrMg2
Simulated XRD peak list, a wavelength of 1.5418 Å. Input: DFT lattice parameters and positions (PBE).

Peak list (10 most intense, 10 to 80 degrees two-theta, low angle first)
2θ/deg  d (Å)  I (rel.)
17.01  5.211  411
27.41  3.254  800
28.07  3.179  754
32.15  2.784  534
32.72  2.737  1000
33.00  2.714  493
49.27  1.850  312
52.31  1.749  261
52.69  1.737  251
56.57  1.627  255

Atomic structure:
```
SrMg2
1.0
3.179 1.835 5.377
-3.179 1.835 5.377
0.000 -3.671 5.377
Sr Mg
2 4
Direct
0.125 0.125 0.125
0.875 0.875 0.875
0.000 0.500 0.500
0.500 0.000 0.500
0.500 0.500 0.000
0.500 0.500 0.500
```

***

[4]
# SrMg
Simulated XRD peak list, a wavelength of 1.5418 Å. Input: DFT lattice parameters and positions (PBE).

Peak list (10 most intense, 10 to 80 degrees two-theta, low angle first)
2θ/deg  d (Å)  I (rel.)
24.03  3.703  253
25.27  3.525  312
26.53  3.360  493
30.02  2.976  1000
35.15  2.553  158
41.39  2.182  162
44.52  2.035  266
48.43  1.880  216
51.22  1.784  190
54.63  1.680  179

Atomic structure:
```
SrMg
1.0
4.070 0.000 0.000
-2.035 3.525 0.000
0.000 0.000 11.110
Sr Mg
2 2
Direct
0.333 0.667 0.339
0.667 0.333 0.661
0.333 0.667 0.908
0.667 0.333 0.092
```

~~~~~

(1)
Calculated PXRD pattern
Compound: BeO
Radiation: Cu Kα (weighted mean of Kα1 and Kα2)
Structure: a structure optimized by DFT (PBE)
Lines closer than 0.1° are merged.

Cell and atoms:
Cell: 3.824 3.824 3.824 Å, 90.00 90.00 90.00°
Fractional positions:
1 Be 0.000 0.000 0.000
2 Be 0.000 0.500 0.500
3 Be 0.500 0.000 0.500
4 Be 0.500 0.500 0.000
5 O 0.250 0.250 0.250
6 O 0.250 0.750 0.750
7 O 0.750 0.250 0.750
8 O 0.750 0.750 0.250

Most intense lines, 5 to 70 degrees two-theta, by angle:
40.87 deg, I = 100
47.56 deg, I = 14
69.53 deg, I = 35

---

(2)
Calculated PXRD pattern
Compound: BeOsO3
____________

When Marji returns to Iran in 1988, the long war with Iraq has ended, but the fundamentalist Islamic regime continues to oppress Iranians with strict social and religious rules and severe punishments. Still recovering from her breakdown in Vienna, Marji tries to recede into the shadows, but her parents, family, and old friends won’t allow it, and Marji is gradually coaxed back into social interactions. Marji’s relationship with her parents has matured, but she still relies on them for advice and for emotional and financial support. Marji’s close relationship with her grandmother resumes, although there is a period when her grandmother won’t speak to her after Marji commits a selfish act that offends her.

Marji won’t mention her problems in Vienna since she feels deep guilt over having fled Iran while others faced the war and other difficulties. Marji feels that her problems in Vienna were inconsequential in comparison. Marji is keenly aware that Iran changed for the worse while she was away. Reminders of the war are everywhere, and the people are now too tired and fearful to stand up to the authorities. Women have it particularly bad in male-dominated Iran, and Marji has difficulty tolerating her old friends who seem vapid and obsessed with Western superficialities, at least in private. Publicly, women are obliged to hide themselves both physically (behind the veil) and intellectually.

Marji’s mother persuades her to seek the help of a psychoanalyst, and Marji tries several before one suggests that she take medication to combat her depression. The anti-depressants make her feel more hopeless, and Marji attempts suicide by swallowing a lot of pills. When Marji unexpectedly survives, she decides it’s a sign that she needs to make big changes in her life, so she alters her look, takes up aerobics, and feels vital for the first time in years. She goes to a party where she meets Reza, an ex-soldier who is now an artist. They’ll eventually marry, but first they decide to go back to school. 

Like all institutions in Iran, the art school that Marji and Reza attend is tightly controlled by the regime. Over time, the couple become part of a faction of students that react to the repression by violating rules on social behavior in private places—particularly by holding alcohol-fueled parties at each other’s homes. The parties are sometimes raided, resulting in arrests and stiff fines that the students’ parents must pay. When a friend of Marji and Reza’s dies in a fall while fleeing the authorities after a raid, Reza vows to stop going to parties, but Marji decides to party more.  Marji and Reza haven’t ever been a very compatible couple, and they argue endlessly. For a while, Marji chooses to celebrate their differences as opposites attracting, but their rifts only increase over time.

In spite of their disagreements, when Reza proposes to Marji she accepts. Marji’s father supports this arrangement even though he believes they aren’t compatible, since he knows that living together is the only way couples can get to know each other in their repressive society. Marji’s parents throw a huge wedding for their only daughter, but when Marji and Reza continue to disagree, Marji realizes their marriage is probably doomed. They stay married, although unhappily and with separate bedrooms, as they continue at school. Toward the end of their four-year program, Marji and Reza are assigned to work together on the final project. For seven months they happily collaborate without arguing on an ambitious theme park plan for Tehran based on figures from Persian mythology. Once the plan is completed and earns them perfect scores, Marji tries to make the plan a reality. But the authorities reject the plan because it is Persian, not Islamic. Marji realizes that she and Reza must divorce, and she must leave Iran.

Marji informs her parents, and they agree. Her father reflects by saying that as Iranians they are crushed, “not only by the government, but by the weight of our own traditions.” Marji is accepted into an arts program in Strasbourg, France, then must wait three months for a student visa. She cherishes her final months with her mother, father, and grandmother in the country that she instinctively loves but cannot remain in. This story ends like the prior book, with Marji at the Tehran airport saying goodbye to her family.